John William Washington Nason A short life
Lots of question marks here as I know virtually nothing about this man - a Dearman great-grandfather.
First question - where was he born? I am guessing somewhere in County Cork. He was the son, I think the first-born, of William Henry Nason a recently graduated (1841) clergyman and his wife (and cousin), Catherine Elisabeth Gaggin. Truth to tell I do not know when the other children were born, and since one of them is called William Henry you would have expected this child to be the firstborn. Also it has to be said, that his parents were married in 1840, so either, the estimated birthdate of 1847 for John William is completely wrong, or the couple waited a very long time to have a child - unlikely, but possible. There were three daughters too, so maybe they were born first - John William Washington, was, after all, the heir to the family estates, so one would have thought this would have meant he was the oldest son.

An excellent site with details of the estates of the landed gentry of Ireland - this is a link to the Nason page.
?, Rathcormac, County Cork, Dun Laoghaire, Dublin 1847-1876
John’s father William was the heir to an estate called Newtown House, which was located at Ballynoe in the Cork countryside. At least I think that this is the estate in question. The Landed Estates database, lists all the Nason houses, and this would seem to be the right one. Apparently it was the Nason home until 1906, but is now just a few ruined walls. The countryside around here is gentle rolling hills, and the Nasons had been here for many generations. However, whether William Henry was still living here or was elsewhere with his new wife I do not know. Suffice to say that County Cork is the Nason stronghold, and sometime around 1847 John William Washington Nason was born. I suppose it is also possible that he was born in Dublin - his father initially graduated from Trinity College, Dublin in 1838, two years before his marriage. Initially I also became confused because John William has a cousin of roughly the same age, and with exactly the same distinctive name. Fortunately our John’s marriage certificate, clears up the parentage problem.

In 1853, (John would have been about six years old), his father was appointed Vicar of the church in Rathcormac - another village in the county, and another Nason stronghold. The church, of course, was the Church of Ireland. The pictures further up the page are of the two Rathcormac churches - the older one, now abandoned, but I am unclear as to which was the Catholic and which the Protestant, or indeed, whether they have swapped denominations over the years. The family home was The Glebe (another word for Vicarage I believe), and was probably substantial in size. I remember the vicarage of my own childhood in an ‘ordinary’ London suburb as being one of the grander houses in the place. And indeed I think the house above is the right house. A lovely place in which to grow up. And William Henry was independently wealthy too. So John grew up, the vicar’s son, together with his three brothers and three sisters, probably roaming the countryside - the footbridge above right is near Rathcormac - playing with each other and the more acceptable of the village children - the doctor’s family perhaps. He would have been educated from an early age though - whether in a local school or possibly at a boarding school, or maybe even by a private tutor. Maybe he looked a little like the boy in the portrait by the American artist, George Yewell at the top of the page - (there is a definite Dearman look about him) - serious, privileged, a touch neglected. All total supposition of course and pertaining only to what the the Yewell portrait conveys to me. For all we know he may have been the complete opposite - a happy-go-lucky charmer.

-- begin --
Density functional theory data (wB97M-V/def2-TZVPD) for a structure of composition C29H29BN7O3S4Zn.

The largest force on an atom comes out at 0.7 eV/A. The calculated total energy comes out at -5128.65719 a.u.

Geometry as ORCA input:
```
! RIJCOSX wB97M-V def2-TZVPD def2/J DEFGRID3
* xyz -1 1
Zn -0.22 0.34 0.20
C -8.33 1.22 2.35
C -6.83 1.07 2.42
C -6.13 1.49 3.55
C -4.75 1.39 3.60
C -4.06 0.86 2.52
C -4.74 0.42 1.40
C -6.12 0.53 1.36
S -2.26 0.91 2.58
O -1.93 2.24 2.15
O -1.88 0.52 3.91
N -1.81 -0.15 1.44
C -1.99 -1.50 1.70
C -2.80 -2.05 2.69
C -2.98 -3.43 2.80
C -2.42 -4.31 1.92
C -1.58 -3.81 0.90
C -0.96 -4.62 -0.08
C -0.12 -4.06 -1.00
C 0.12 -2.68 -0.95
N -0.47 -1.89 -0.08
C -1.33 -2.42 0.82
H -8.73 1.67 3.25
H -8.80 0.24 2.22
H -8.61 1.84 1.49
H -6.67 1.90 4.40
H -4.18 1.71 4.47
H -4.19 -0.02 0.58
H -6.66 0.19 0.48
H -3.28 -1.40 3.41
H -3.61 -3.81 3.60
H -2.58 -5.38 2.00
H -1.17 -5.69 -0.08
H 0.36 -4.66 -1.76
H 0.82 -2.21 -1.63
O -1.09 2.19 -0.55
N -2.13 1.87 -1.27
C -3.29 2.52 -1.10
C -4.40 2.22 -1.86
C -4.32 1.19 -2.79
C -3.12 0.51 -2.95
C -1.99 0.86 -2.20
S -0.45 0.17 -2.38
H -3.28 3.27 -0.32
H -5.31 2.77 -1.71
H -5.18 0.91 -3.39
H -3.01 -0.29 -3.66
C 1.25 3.64 1.02
N 2.52 2.96 1.18
C 3.75 3.54 1.03
C 4.67 2.57 1.26
N 4.01 1.40 1.53
B 4.91 0.10 1.75
N 4.09 -1.12 2.18
C 3.83 -1.45 3.49
C 3.00 -2.50 3.53
N 2.74 -2.85 2.21
C 1.83 -3.88 1.80
C 3.42 -1.99 1.38
S 3.41 -2.08 -0.30
C 2.69 1.65 1.49
S 1.38 0.63 1.95
H 1.44 4.71 0.99
H 0.58 3.39 1.83
H 0.76 3.33 0.10
H 3.87 4.58 0.78
H 5.74 2.62 1.26
H 5.66 0.38 2.65
H 5.48 -0.12 0.72
H 4.27 -0.87 4.30
H 2.57 -3.05 4.35
H 2.13 -4.84 2.20
H 1.85 -3.92 0.71
H 0.82 -3.65 2.14
*
```

~~~~~

DFT (ωB97M-V/def2-TZVPD) results for a molecular structure, C30H23I2MnN3O7S3.

Geometry as XYZ:
```
69
C30H23I2MnN3O7S3 (ωB97M-V/def2-TZVPD)
Mn 0.12 0.24 1.21
I 1.53 -4.67 1.36
C -0.23 -3.82 0.67
C -1.26 -4.61 0.12
C -2.43 -4.06 -0.33
I -3.90 -5.30 -1.14
C -2.64 -2.66 -0.24
C -3.81 -1.94 -0.57
C -3.87 -0.59 -0.35
C -2.75 0.08 0.17
N -1.63 -0.55 0.44
C -1.58 -1.90 0.28
C -0.38 -2.46 0.75
O 0.49 -1.61 1.23
H -1.12 -5.68 0.05
H -4.66 -2.47 -0.98
H -4.76 -0.03 -0.57
H -2.78 1.14 0.35
C -1.62 1.65 5.35
C -0.86 1.54 4.06
S -1.43 0.33 2.95
C 0.17 2.34 3.76
C 0.70 3.50 4.55
S 1.03 1.96 2.30
H -2.41 0.90 5.41
H -2.07 2.63 5.45
H -0.94 1.49 6.19
H 0.21 3.54 5.52
H 0.51 4.45 4.04
H 1.77 3.42 4.72
C 1.38 -5.17 -3.26
C 1.63 -3.75 -2.84
C 2.91 -3.33 -2.49
C 3.14 -2.03 -2.05
C 2.08 -1.14 -1.98
C 0.80 -1.54 -2.34
C 0.59 -2.84 -2.77
S 2.34 0.47 -1.31
O 1.40 1.36 -1.96
O 3.75 0.75 -1.43
N 1.93 0.36 0.24
C 3.03 -0.19 1.05
C 2.66 -0.31 2.50
O 3.34 -0.79 3.35
O 1.42 0.21 2.82
H 2.31 -5.69 -3.50
H 0.73 -5.21 -4.14
H 0.88 -5.73 -2.47
H 3.74 -4.03 -2.54
H 4.14 -1.70 -1.80
H -0.02 -0.83 -2.30
H -0.41 -3.15 -3.06
H 3.92 0.44 1.00
H 3.34 -1.20 0.74
O 0.28 3.49 1.30
C -0.17 3.05 0.21
N -0.41 1.76 -0.05
C -0.89 1.69 -1.41
O -1.35 0.72 -1.94
C -0.86 3.07 -1.96
C -1.17 3.55 -3.21
C -1.05 4.92 -3.41
C -0.65 5.77 -2.38
C -0.34 5.28 -1.12
-- stop --

Then whilst still a teenager, his mother died. I am guessing she died around 1860 or maybe a little before, as there were seven children from the marriage which began in 1840 and his father remarried in 1864. I wonder how this affected John and his siblings. I do not think there were any children from this second marriage, and anyway, John would, by now have been well on the way to an independent life. He may, indeed have left home for Trinity College.

The next thing I know for sure about John William is that he graduated with a B.A. and M.B. and M.Ch in 1869 from Trinity College Dublin. I found this in A Catalogue of Graduates of the University of Dublin. I think that his brothers may well have been there almost at the same time, with William Henry graduating in 1871, Charles Richard in 1878 and George Bruce in 1879. The fact that they graduated after him, does indeed seem to confirm that he was the oldest brother. As does his daughter’s comment that he was “heir to a big property in County Cork with which Cromwell had rewarded ‘his beloved follower and fellow soldier, John Nason’” The heir, after all, is generally the oldest son.
Trinity College is, of course, a very well-respected university, so it would have been quite prestigious to graduate from there. I think the M.Ch is a masters in surgery, but John William was not content with this and went on to obtain an M.A and an M.D in 1872. By then he was also a published researcher, with an article On Haemoptysis (haemorrhaging blood from the lung), in the Dublin Journal of Medical Science. It could have been his thesis I guess.

**Unrelated to this article: records of molecules**
<<<
Entry from the Open Molecules 2025 dataset: a 2-piece molecular cluster, C3H12N2S overall at a distorted geometry (wB97M-V/def2-TZVPD).

Last columns: bonded neighbours and bond lengths (Å).
Positions of all 18 atoms, in Å:
1 C 2.109 1.416 1.034  C2 1.507, H4 1.070, H5 1.063, H6 1.045
2 C 1.807 -0.014 0.667  C1 1.507, S3 1.896, H7 1.088, H8 1.070
3 S 2.452 -0.916 2.205  C2 1.896, H9 1.365
4 H 2.027 1.606 2.083  C1 1.070
5 H 1.414 2.080 0.581  C1 1.063
6 H 3.076 1.655 0.714  C1 1.045
7 H 0.735 -0.196 0.659  C2 1.088
8 H 2.314 -0.339 -0.218  C2 1.070
9 H 2.194 -2.181 1.760  S3 1.365
10 N -1.690 0.614 -0.309  C11 1.480, H13 0.964, H14 1.041
11 C -1.479 -0.672 -1.010  N10 1.480, N12 1.571, H15 1.074, H16 1.076
12 N -2.620 -1.068 -2.015  C11 1.571, H17 1.026, H18 1.042
13 H -2.511 0.534 0.191  N10 0.964
14 H -1.580 1.427 -0.951  N10 1.041
15 H -0.555 -0.636 -1.556  C11 1.074
16 H -1.407 -1.357 -0.183  C11 1.076
17 H -3.151 -1.784 -1.508  N12 1.026
18 H -3.134 -0.171 -2.144  N12 1.042

Its SMILES is CCS.NCN. The value obtained for the energy above the lowest of the compared OMol25 structures with the same formula, charge and spin is 71.5 kJ/mol.

----------

[1]
Entry from OMol25: a single C19H23FN4O2 molecule (ωB97M-V with the def2-TZVPD basis set).

Each line ends with the natural charge from an NBO analysis.
CARTESIAN COORDINATES (ANGSTROEM)
H -2.733825 -0.082585 -3.257325  0.2062
O 3.017532 -0.618972 -2.132630  -0.6204
F -3.559508 2.297343 0.906835  -0.3312
N 2.020097 0.742302 -0.632241  -0.6187
C 2.126017 -0.409146 -1.338034  0.6918
H -0.232750 -0.790729 -2.799063  0.2216
H -5.561558 -1.787835 -1.550891  0.2106
C -4.095420 1.231190 0.266711  0.4076
C 0.776837 -1.723325 0.384518  -0.4122
H -0.700965 -0.212637 0.903711  0.2139
H 6.192724 3.349848 3.477317  0.2178
H 0.874153 -2.801071 0.523347  0.2205
C -0.608295 -1.301148 0.881863  -0.4929
H -3.005823 -2.805329 -1.881126  0.2410
H 5.900162 1.979703 4.556495  0.2347
C 4.892146 1.849888 2.704406  0.1004
H -6.606504 -0.975805 0.518691  0.2164
H 2.847515 2.657517 -0.755190  0.2082
C -5.736844 -0.474363 0.122963  -0.1725
H -4.049726 -1.247479 -3.488194  0.2219
H 6.971993 1.796314 3.161858  0.2185
N 4.815141 2.089283 1.352473  -0.5174
C 3.732226 1.201891 3.017639  -0.0994
C 3.631672 1.582032 0.920731  0.3329
C -5.210565 0.614106 0.797258  -0.2920
H -1.868856 -2.416103 -3.201859  0.1969
N -1.452451 -1.598061 -1.335014  -0.4604
C -3.497356 0.794698 -0.899296  -0.3048
H -0.780281 -1.672742 1.891634  0.2438
C -1.683890 -1.860155 -0.025582  0.6943
C -2.404077 -2.015021 -2.336085  -0.2058
C -5.149421 -0.929223 -1.042929  -0.2123
H 1.230380 -2.296036 -1.659042  0.2340
C -0.311189 -0.801550 -1.710244  -0.2062
C -4.023651 -0.303747 -1.563669  0.0192
C 3.146912 1.634181 -0.490865  -0.2674
H -0.432794 0.234674 -1.369879  0.1912
N 2.961853 1.043377 1.905390  -0.4935
H 3.922406 1.303168 -1.189696  0.2484
O -2.639017 -2.499961 0.366468  -0.6277
C -3.325727 -0.859948 -2.770439  -0.4324
>>>

And then, as young men do, whilst still studying for his masters, he fell in love with and married Sarah Frances Bateman on Thursday, August 3 1871 in the Monkstown Parish Church, Dublin. His father, by now living in Dublin too, performed the ceremony. I have not been able to find out much about Sarah’s family, suffice to say that her father gave no profession on the marriage certificate, and simply described himself as Esquire. So no doubt wealthy too. The young couple took up residence in York Road, KIngstown (now known as Dun Laoghaire), a seaside part of Dublin. I do not know what kind of doctor John was. The fact that he had a surgery qualification implies hospitals to me, but maybe all it means is that you know how to perform basic surgery. So far I have not been able to find any entries in a medical directory, but I live in hope.
The young couple’s efforts at reproducing did not start well - their first child - an unnamed daughter - was born and died in 1872, but in spite of this tragedy they persevered and had Ethel in 1873 and Kate in 1875. They were on their way to being a happy family - no doubt boys would follow, but it was not to be because sometime in 1876 at the age of 29, Kate being a mere six months old, John William Washington died of meningitis. But he was not forgotten - his daughter Kate writes: "I naturally cannot remember him at all in the personal sense, but I have heard enough of his qualities to make me hope I have inherited some of them.” She would not have been able to write these words were it not for people speaking of him frequently and well, though it is more likely to have been her grandparents who spoke of him than her mother, for she too, died when Kate was still a child.
So a very brief life, and a promising one at that, cut off tragically in his prime. One day I may find out more - about his childhood at least.